Excerpt.
~~~
46
Properties=species:S:1:pos:R:3:lowdin_charge:R:1 method="wB97M-V/def2-TZVPD" spin_multiplicity=3 largest_force_ha_per_bohr=0.0247 s_squared=2.02 homo_lumo_gap_ha="0.2925 / 0.2227" relative_energy_kcal_mol=11.89 e_lumo_ha="0.0144 / -0.0806" homo_ev="-7.569 / -8.252"
Pt 0.28479 -0.65110 -1.00185 0.782
C -0.96027 -3.57383 -1.63954 -0.091
C -2.12661 -2.59325 -1.54436 -0.249
N -1.92619 -1.45561 -0.60721 -0.273
C -2.89264 -0.37678 -0.88157 -0.250
C -2.55791 0.93626 -0.18744 -0.076
C -1.95344 -1.89158 0.79909 -0.165
C -0.81045 -1.31855 1.64170 -0.211
N 0.43761 -1.42824 0.90928 -0.099
C 1.63210 -1.29729 1.56130 -0.168
C 2.85263 -1.60839 0.89651 -0.164
F 2.80388 -2.06884 -0.35420 0.069
C 4.08345 -1.46287 1.48887 -0.216
F 5.18345 -1.77719 0.80026 0.106
C 4.20188 -1.00335 2.78718 0.084
C 3.03837 -0.72711 3.47285 -0.216
F 3.11432 -0.29031 4.73455 0.101
C 1.79367 -0.87560 2.89867 -0.139
F 0.72258 -0.56497 3.64472 0.088
H -1.13940 -4.27607 -2.45377 0.080
H -0.82296 -4.14141 -0.71982 0.070
H -0.03584 -3.03557 -1.85257 0.038
H -3.03516 -3.13859 -1.25536 0.125
H -2.29349 -2.16431 -2.53257 0.114
H -3.90170 -0.69796 -0.58897 0.124
H -2.88887 -0.20830 -1.95858 0.116
H -2.72007 0.88969 0.88943 0.073
H -3.17994 1.73575 -0.58967 0.085
H -1.51586 1.18626 -0.38170 0.031
H -1.87325 -2.97773 0.82428 0.114
H -2.90872 -1.61699 1.25703 0.129
H -0.76607 -1.88751 2.57329 0.127
H -1.00568 -0.27517 1.90522 0.114
H 5.16724 -0.86783 3.25076 0.140
F -0.08809 6.36022 -0.66546 0.131
C 0.20284 5.12215 -1.05546 -0.142
C 0.51103 4.14846 -0.12431 -0.148
F 0.51402 4.44566 1.17643 0.123
C 0.81606 2.86470 -0.53740 -0.251
F 1.15054 1.99583 0.42057 0.062
C 0.77066 2.47378 -1.88331 -0.531
S 1.06212 0.86644 -2.52082 0.560
C 0.48246 3.49717 -2.79255 -0.253
F 0.43234 3.21354 -4.09387 0.081
C 0.21045 4.79219 -2.39862 -0.146
F -0.06590 5.72419 -3.31100 0.124

***

43
Properties=species:S:1:pos:R:3:lowdin_charge:R:1 method="wB97M-V/def2-TZVPD" largest_force_ha_per_bohr=0.0272 homo_lumo_gap_ha=0.3362 e_lumo_ha=0.0168 homo_ev=-8.691 smiles="O=C(Cn1cnc2c(nnn2Cc2ccccc2F)c1=O)NCc1ccco1"
O -3.44988 -2.59682 0.65410 0.067
C -3.08594 -1.62409 0.03082 -0.474
N -3.56872 -0.38341 0.17944 0.092
H -3.16515 0.37363 -0.36358 0.118
C -4.64124 -0.06219 1.10362 -0.078
C -5.77866 0.59011 0.39028 -0.266
C -5.96256 1.87887 -0.02041 -0.026
C -7.20843 1.90544 -0.69261 -0.064
C -7.68354 0.63203 -0.64335 -0.122
O -6.82565 -0.16963 0.00588 0.056
H -8.58521 0.18762 -1.01509 0.118
H -7.67814 2.75394 -1.14547 0.099
H -5.29778 2.70309 0.13820 0.111
H -4.97052 -1.00410 1.54940 0.131
H -4.26149 0.60556 1.88447 0.135
C -1.96063 -1.70901 -1.02271 -0.034
N -0.72112 -1.17317 -0.49020 0.030
C 0.15865 -2.00357 0.11811 -0.106
N 1.29312 -1.67246 0.63271 0.163
C 1.56924 -0.35748 0.50871 -0.234
N 2.65566 0.32534 0.91185 -0.056
N 2.49498 1.62183 0.60024 0.068
N 1.37610 1.80527 0.03255 0.091
C 0.73578 0.61309 -0.06699 -0.120
C -0.53801 0.22959 -0.59863 -0.346
O -1.41184 0.92108 -1.08134 0.068
C 3.85720 -0.19278 1.51092 -0.058
C 5.04515 0.06687 0.62078 -0.149
C 5.07597 -0.43347 -0.67607 -0.223
C 6.13507 -0.20417 -1.53240 -0.003
C 7.20535 0.54960 -1.08346 -0.076
C 7.20065 1.06143 0.20275 -0.081
C 6.12698 0.82513 1.04388 -0.031
H 6.12395 1.23340 2.04304 0.114
H 8.03319 1.65237 0.55157 0.104
H 8.03943 0.73790 -1.74135 0.106
H 6.10828 -0.61298 -2.52991 0.119
F 4.03328 -1.17107 -1.11814 0.075
H 4.00912 0.28671 2.48167 0.132
H 3.69614 -1.26688 1.64666 0.136
H -0.12846 -3.04392 0.17716 0.144
H -1.81718 -2.75557 -1.29301 0.133
H -2.23315 -1.12312 -1.90409 0.136

***

41
Properties=species:S:1:pos:R:3:lowdin_charge:R:1 method="wB97M-V/def2-TZVPD" largest_force_ha_per_bohr=0.0756 homo_lumo_gap_ha=0.1836 charge=-1 relative_energy_kcal_mol=0.00 e_lumo_ha=0.0769 homo_ev=-2.904
C 3.16847 1.67614 3.40855 -0.068
C 3.36634 0.75471 2.37787 -0.041
C 2.31553 -0.08719 2.01371 -0.244
C 1.10391 -0.03041 2.67681 -0.242
C 0.89456 0.89401 3.70049 -0.037
C 1.93324 1.75006 4.06682 -0.065
S -0.18373 -1.16494 2.10454 0.705
~~~
Brief.
Quote the lines further up from the one with "-0.76607 -1.88751" to the one with "-7.67814 2.75394" exactly.
Solution.
H -0.76607 -1.88751 2.57329 0.127
H -1.00568 -0.27517 1.90522 0.114
H 5.16724 -0.86783 3.25076 0.140
F -0.08809 6.36022 -0.66546 0.131
C 0.20284 5.12215 -1.05546 -0.142
C 0.51103 4.14846 -0.12431 -0.148
F 0.51402 4.44566 1.17643 0.123
C 0.81606 2.86470 -0.53740 -0.251
F 1.15054 1.99583 0.42057 0.062
C 0.77066 2.47378 -1.88331 -0.531
S 1.06212 0.86644 -2.52082 0.560
C 0.48246 3.49717 -2.79255 -0.253
F 0.43234 3.21354 -4.09387 0.081
C 0.21045 4.79219 -2.39862 -0.146
F -0.06590 5.72419 -3.31100 0.124

***

43
Properties=species:S:1:pos:R:3:lowdin_charge:R:1 method="wB97M-V/def2-TZVPD" largest_force_ha_per_bohr=0.0272 homo_lumo_gap_ha=0.3362 e_lumo_ha=0.0168 homo_ev=-8.691 smiles="O=C(Cn1cnc2c(nnn2Cc2ccccc2F)c1=O)NCc1ccco1"
O -3.44988 -2.59682 0.65410 0.067
C -3.08594 -1.62409 0.03082 -0.474
N -3.56872 -0.38341 0.17944 0.092
H -3.16515 0.37363 -0.36358 0.118
C -4.64124 -0.06219 1.10362 -0.078
C -5.77866 0.59011 0.39028 -0.266
C -5.96256 1.87887 -0.02041 -0.026
C -7.20843 1.90544 -0.69261 -0.064
C -7.68354 0.63203 -0.64335 -0.122
O -6.82565 -0.16963 0.00588 0.056
H -8.58521 0.18762 -1.01509 0.118
H -7.67814 2.75394 -1.14547 0.099